Author Topic: Customized finished/unfinished add-on dump.  (Read 2501 times)

These are a bunch of add-ons I edited to suit my needs better. I forget the original owners of most of these so if you know who you are let me know.

**Crystal structures, as found in the file:**
........
Diffraction record for DyErPb2. The powder XRD pattern is simulated, not measured: it uses the GGA-PBE geometry in Alexandria and λ = 1.5418 Å (Cu Kα).
Kinematic intensities with the Lorentz-polarization factor, no thermal factor.

Atomic structure:
Unit cell a=10.4097 b=10.4097 c=5.8318 alpha=95.26 beta=95.26 gamma=131.11
Sites, in units of the cell vectors:
Dy (0.0635, 0.9365, 0.7500)
Dy (0.3118, 0.6882, 0.7500)
Dy (0.6882, 0.3118, 0.2500)
Dy (0.9365, 0.0635, 0.2500)
Er (0.1868, 0.8132, 0.2500)
Er (0.4386, 0.5614, 0.2500)
Er (0.5614, 0.4386, 0.7500)
Er (0.8132, 0.1868, 0.7500)
Pb (0.0650, 0.4399, 0.2457)
Pb (0.1875, 0.3126, 0.7531)
Pb (0.3126, 0.1875, 0.2531)
Pb (0.4399, 0.0650, 0.7457)
Pb (0.5601, 0.9350, 0.2543)
Pb (0.6874, 0.8125, 0.7469)
Pb (0.8125, 0.6874, 0.2469)
Pb (0.9350, 0.5601, 0.7543)

The 10 most intense peaks (10° ≤ 2θ ≤ 90°), by angle:
| 2θ/deg | I_rel |
| --- | --- |
| 30.1 | 100 |
| 31.5 | 45 |
| 34.8 | 69 |
| 38.0 | 27 |
| 43.1 | 19 |
| 47.8 | 14 |
| 50.1 | 25 |
| 52.0 | 23 |
| 58.8 | 16 |
| 61.1 | 14 |

~~~~~

Structure and theoretical powder X-ray diffraction pattern of CaNi2O4 (the GGA+U geometry in Alexandria; a wavelength of 1.5418 Å).
Peak positions follow from Bragg's law for the DFT cell and can differ from measured ones.

Largest 6 diffraction maxima, in order of falling intensity, 2θ = 5–70°:
33.34°, intensity 100
44.69°, intensity 53
41.48°, intensity 50
40.36°, intensity 38
31.95°, intensity 30
57.19°, intensity 27

Structural model:
```
CaNi2O4
1.0
1.534 -4.894 0.000
1.534 4.894 0.000
0.000 0.000 9.645
Ca Ni O
2 4 8
direct
0.106 0.894 0.750 Ca
0.894 0.106 0.250 Ca
0.362 0.638 0.568 Ni
0.362 0.638 0.932 Ni
0.638 0.362 0.068 Ni
0.638 0.362 0.432 Ni
0.000 0.000 0.000 O
0.000 0.000 0.500 O
0.269 0.731 0.106 O
0.269 0.731 0.394 O
0.437 0.563 0.750 O
0.563 0.437 0.250 O
0.731 0.269 0.606 O
0.731 0.269 0.894 O
```

Structure and theoretical powder X-ray diffraction pattern of Ca2Ni3O8 (the GGA+U geometry in Alexandria; a wavelength of 1.5418 Å).
Peak positions follow from Bragg's law for the DFT cell and can differ from measured ones.

Largest 6 diffraction maxima, in order of falling intensity, 2θ = 5–70°:
17.12°, intensity 100
34.93°, intensity 74
36.09°, intensity 61
57.16°, intensity 53
31.23°, intensity 48
24.43°, intensity 42

Structural model:
```
Ca2Ni3O8
1.0
5.921 0.000 0.000
-2.961 5.128 0.000
0.000 0.000 10.358
Ca Ni O
4 6 16
direct
0.333 0.667 0.000 Ca
0.333 0.667 0.405 Ca
0.667 0.333 0.500 Ca
0.667 0.333 0.905 Ca
0.166 0.332 0.721 Ni
0.166 0.834 0.721 Ni
0.332 0.166 0.221 Ni
0.668 0.834 0.721 Ni
0.834 0.166 0.221 Ni
0.834 0.668 0.221 Ni
0.000 0.000 0.318 O
0.000 0.000 0.818 O
0.044 0.522 0.818 O
0.150 0.300 0.128 O
0.150 0.850 0.128 O
0.300 0.150 0.628 O
0.333 0.667 0.624 O
0.478 0.522 0.818 O
0.478 0.956 0.818 O
0.522 0.044 0.318 O
0.522 0.478 0.318 O
0.667 0.333 0.124 O
0.700 0.850 0.128 O
0.850 0.150 0.628 O
0.850 0.700 0.628 O
0.956 0.478 0.318 O
```
........

Mostly what I did was just edit some scripts of existing scripts and added or removed some things.

Some of these are finished and some of them are unfinished.

I've included some youtube links for some of these add-ons that showcase how they work

These were all intended to be private mods since I did not originally make them, all I did was edited the scripts to better suit my needs. But considering where blockland is going I figured why not.


Originally made by gravity cat.

My version add in Conan's ammo script, changed some weapon values and added sounds.

Some of these are finished, some are not. For example the ammo for the rocket launcher needs a better model.


I forgot who made the original skeleton bot.

My version has added sounds and the skeleton breaks apart on death which is pretty cool.

Black Skeleton

Same thing but black and stronger.

Big Knight

I forgot the original owner's name.

My version adds sounds to the bots and tweaks some stats.


Originally made by GSF ghost.

I took the gem script from GSF ghost's rpgxtended mod.

My version includes new gem models made by rocky doctor. I also added sound effects and I included a list of events that work with these. I also made it compatible with TotalRPG

Also I don't know if totalRPGextended is required, but I do know that the events require RPGextended.


I forgot the original owner's name.

All I did was turn the torch into an item carried by the left hand  allowing you to dual wield with most items

The torch is no longer bound by the light key anymore.


I forgot the original owner's name.

My version adds sounds and adjusts damage values. Oh and I included a bot hole because the original didn't have a bot hole.

Exploding War Pigs

I forgot the original owner's name.

So basically in my version all I did was add sounds to pigs and then included a modified version of the boom belt (I also don't know the owner's name) and the pigs now detonate when they get within proximity.

RPG potions

I forgot the original creator's name.

All I did was made the potions stackable and added multiple types of potions


Original creator Pecon. Jess helped with some icons.

I did include new coin support which also goes great with the gem mod. I made a whole new health bar and I made various other changes and fixed a few bugs the original script had.

It's far from finished but I doubt I'd finish it anytime soon


Original creator GSFghost

I basically took his big ass RPGlovetended mod and cut out the bullstuff and left only a few tools and bricks.

I also modified his tools and scripts.

I also changed various chests he included and turned them into BLB chests so they work with door open/close events.

This mod is also unfinished.
« Last Edit: September 13, 2019, 10:34:21 PM by King Tøny »


Original creator Jess.

I did include new coin support which also goes great with the gem mod. I made a whole new health bar and I made various other changes and fixed a few bugs the original script had.

It's far from finished but I doubt I'd finish it anytime soon
Pecon made it. I think I just made the health and money icons work for you.

Big Knight
(by kobble)

(by Swollow)

(by Pillow Pants/Hydralisk)
just some info i know

then kobble also made the boar

that  medieval rpg actually looks awesome wow, i like that lego safe brick you used for selling crystals and that crystal brick you used for mining them

question, why do the rpg potions each have their own pickup package instead of just having a generic "if %item.datablock.stackable = 1" package

then kobble also made the boar
ya he did, forgot to add that lol